Here is a simple 3 step process you can use to increase your clarity to increase your productivity.  Just remember a little TLC can make all the difference. Make it a great week!

Most people consider themselves positive and focused when they are asked. I won’t bore you with the statistics on this one because if you read the book, How to Lie with Statistics, you can ask people in a certain way to answer in support of your desired research. So, check this out for yourself. Do you find yourself slipping into the trap most people do? They are focused on what they don’t want and are positive it’s going to be a struggle to avoid it.

When it all boils down, people really only have two problems.
1. They know what they want but don’t know how to get it or,
2. They simply don’t know what they want.

Here is some simple yet eye opening research to which you may be able to relate. In our business planning workshops and in our one on one coaching and consulting sessions, when we ask the question, “What do you want more of in your life or in your business?”  Eight out of every ten people respond with what they want less of or don’t want!

/*
Record 1
Entry from OMol25: a single C4H5NO molecule (the ωB97M-V functional and the def2-TZVPD basis).

LUMO, eV: 0.821
Charge: 0
E_HOMO, eV: -10.593
SMILES string: N#CC[C@H]1CO1
Relative energy (zero: lowest compared OMol25 entry of this formula, charge and spin), kJ/mol: 263.8

Each line ends with the natural charge from an NBO analysis.
Geometry (Å):
N  2.997  0.458  0.293  -0.31
C  2.003  -0.081  0.069  0.28
C  0.710  -0.732  -0.196  -0.55
C  -0.508  -0.044  0.463  0.08
C  -1.515  0.782  -0.308  -0.16
O  -1.692  -0.592  -0.020  -0.46
H  0.752  -1.757  0.208  0.27
H  0.576  -0.841  -1.282  0.26
H  -0.389  0.182  1.506  0.19
H  -2.144  1.468  0.266  0.20
H  -0.732  1.113  -0.934  0.20

***

Record 2
Entry from OMol25: a molecular structure, C19H26N4OsS9 (the ωB97M-V functional and the def2-TZVPD basis).

LUMO (alpha / beta), eV: -6.101 / -8.614
Charge: +2
E_HOMO (alpha / beta), eV: -13.010 / -13.022
Relative energy (zero: lowest compared OMol25 entry of this formula, charge and spin), kJ/mol: 100.3
Multiplicity: 5

Each line ends with the natural charge from an NBO analysis.
Geometry (Å):
Os  -0.412  0.296  0.482  0.80
C  3.770  0.923  2.329  -0.53
C  3.585  0.538  0.878  -0.52
S  2.160  -0.516  0.417  0.29
C  2.160  -1.891  1.630  -0.54
C  1.523  -1.647  2.992  -0.53
S  -0.008  -0.622  2.987  0.27
C  0.334  0.726  4.198  -0.52
C  1.749  1.240  4.376  -0.54
S  2.475  2.090  2.921  0.29
H  4.717  1.460  2.416  0.26
H  3.811  0.061  2.990  0.22
H  4.462  -0.010  0.532  0.25
H  3.457  1.427  0.259  0.26
H  3.196  -2.206  1.755  0.26
H  1.624  -2.680  1.101  0.25
H  2.215  -1.173  3.681  0.24
H  1.224  -2.604  3.422  0.26
H  -0.030  0.343  5.154  0.26
H  -0.319  1.532  3.866  0.26
H  2.446  0.475  4.710  0.23
H  1.708  1.999  5.161  0.27
C  -2.057  6.812  0.515  -0.66
C  -0.906  5.900  0.290  0.29
C  0.232  6.254  -0.446  -0.26
C  1.190  5.270  -0.636  0.09
N  1.067  4.055  -0.122  -0.46
C  -0.015  3.820  0.593  0.21
S  -0.146  2.330  1.495  0.21
N  -0.993  4.680  0.801  -0.48
H  -1.726  7.768  0.918  0.25
H  -2.771  6.350  1.190  0.24
H  -2.548  7.016  -0.435  0.25
H  0.354  7.244  -0.849  0.25
H  2.093  5.452  -1.206  0.22
C  -2.343  -2.546  1.487  -0.68
C  -1.591  -2.582  0.212  0.44
N  -0.780  -1.631  -0.240  -0.60
C  -0.282  -2.076  -1.442  -0.10
C  -0.791  -3.309  -1.705  -0.04
N  -1.609  -3.608  -0.654  -0.48
H  -2.457  -1.516  1.828  0.24
H  -1.801  -3.106  2.248  0.25
H  -3.322  -3.002  1.370  0.27
H  0.409  -1.494  -2.019  0.25
H  -0.648  -3.971  -2.534  0.26
H  -2.143  -4.458  -0.552  0.46
C  -3.799  3.420  -0.009  -0.74
S  -4.012  2.098  1.218  0.32
C  -4.044  0.684  0.191  -0.37
C  -3.159  0.359  -0.796  -0.50
S  -1.709  1.228  -1.222  0.16
S  -3.553  -1.081  -1.728  0.48
C  -4.874  -1.608  -0.714  -0.60
S  -5.594  -3.067  -0.910  0.06
S  -5.317  -0.471  0.531  0.53
H  -4.425  4.243  0.322  0.25
H  -4.130  3.070  -0.980  0.24
H  -2.759  3.733  -0.031  0.24

***

Record 3
*/

Ask yourself the question above. Is the answer what you want to be moving toward? Your initial response is most likely what you are trying to avoid. Popular responses sound like, I am tired of hassles with my employees. I need to reduce my expenses or debt. I’m working too hard or too much. I want less fatigue, aches or pains. I wish my customers weren’t so demanding. I’m overwhelmed. I’m unfocused and get distracted too easily. These are not answers to what is wanted as much as they are statements of what they don’t want.

Flip the coin of focus. Once you become aware you have been focused on what you are actually trying to limit or eliminate, notice what is on the other side of that coin. It usually has to do with increasing your capacity in some way. Becoming more resilient, creative, certain, confident, prosperous, effective or productive are just several of many desired outcomes.

This is simple and obvious, however, I’ll resurrect it for you. When you find yourself stuck in your thinking around what you don’t want ask yourself, “So, in this moment, what DO I want to be thinking, feeling or experiencing instead?” This simple redirect of your thinking is like hitting the reset button on your computer when it’s acting a little wonky.

In her book The Passion Test, Janet Atwood states, “When you are clear, what you want will show up and only to the extent you are clear.”

So, how do you get even more clear? Try a little TLC.

T – Take yourself to the place of having invested the side of the coin you desire by using the “So…” statement above. i.e., Let’s say you want to experience a more productive relationship with your employees. What particular capacity do you need to more fully develop in yourself? Step into the story of success. Imagine the desired interaction you really desire to have.

L- Look back from there. Notice did you have to become a better listener? A more effective trainer? A stronger example of what you expect of others? Did you have to hire a manager who was perhaps better at training than you?

C- Create a plan from there. Think strategically of a plan that will actually help you develop your capacity around becoming more of who you desire to be.

“Endeavor to be what you desire to appear.” ~Socrates

You will find once you become clear about what you want to move toward rather than avoid, it’s like doing a 180 degree turn. You have a new perspective and will see things entirely differently. This new perspective allows you to become aware of and available to the resources to help you achieve your preferred outcome. Once you have done so, do notice and pay attention to the “new” resources and how you can implement them to succeed.

Remember, there is never a shortage of resources, only a shortage of resourcefulness. By focusing on what you want you become more resourceful and thereby bring into existence that which you desire.

Make it up. Make it fun. Make it happen.